**What to do:**
It remains to set down the block underneath character by character.

**Entries:**
87
Properties=species:S:1:pos:R:3:forces:R:3 method="wB97M-V/def2-TZVPD" total_energy_ha=-1794.48479 total_charge=+1 multiplicity=1 mol_weight_g_mol=533.70 largest_force_ev_per_a=4.73
C 0.533 2.129 4.999 -0.7 -0.4 0.5
C -0.258 2.220 3.572 -0.1 0.7 1.7
C -1.806 2.066 3.945 1.2 -1.7 -1.2
N -2.547 3.196 4.239 1.9 -1.0 -0.7
N -3.811 3.338 4.609 -0.5 -4.7 -0.1
C -4.404 2.089 4.686 -0.8 -0.3 0.1
C -3.858 0.711 4.382 3.4 1.9 -0.7
C -2.395 0.671 3.958 -3.6 2.2 1.5
F -1.698 -0.486 3.669 -1.5 3.2 0.7
H -0.217 1.770 5.796 1.3 0.5 -1.0
H 0.904 3.145 5.342 -0.4 -1.3 -0.6
H 1.386 1.381 4.970 -1.1 1.1 -0.2
H -0.015 3.268 3.169 -0.7 -1.7 0.1
H 0.135 1.391 2.907 -0.8 1.2 0.6
H -2.040 4.101 4.164 -0.4 -0.9 0.0
H -5.495 2.120 5.040 1.9 0.0 -0.7
H -4.513 -0.206 4.487 0.9 1.3 -0.1
C 3.881 -0.354 1.327 0.0 0.1 0.4
C 2.642 0.486 1.462 0.0 0.1 0.2
O 2.343 1.012 2.524 0.0 -0.1 -0.2
C 1.783 0.653 0.238 -0.1 0.2 0.5
H 4.402 -0.386 2.287 -0.1 0.0 -0.1
H 3.611 -1.372 1.041 0.0 0.1 -0.2
H 4.547 0.085 0.582 -0.1 -0.2 -0.1
H 1.420 -0.320 -0.098 0.1 0.1 -0.2
H 2.357 1.136 -0.555 -0.1 -0.2 -0.1
H 0.924 1.282 0.480 0.1 -0.1 -0.1
C 0.167 1.311 -4.377 0.3 0.2 0.3
C -0.274 0.356 -3.302 0.2 0.1 0.4
O 0.145 0.448 -2.161 -0.2 0.0 -0.4
C -1.254 -0.718 -3.691 0.0 -0.2 0.4
H 0.872 2.030 -3.955 -0.1 -0.1 0.0
H 0.664 0.762 -5.179 -0.3 0.1 -0.1
H -0.695 1.853 -4.769 0.1 -0.2 -0.2
H -0.819 -1.355 -4.464 -0.2 0.2 -0.2
H -2.178 -0.264 -4.053 0.1 -0.1 -0.2
H -1.483 -1.333 -2.818 0.0 0.1 -0.1
C 7.223 2.922 1.777 -0.4 0.0 0.0
C 7.421 1.882 0.707 -0.3 -0.3 -0.2
O 6.477 1.280 0.228 0.4 0.3 0.2
C 8.830 1.615 0.252 -0.1 -0.3 -0.3
H 6.159 3.009 2.005 0.1 0.0 0.0
H 7.753 2.627 2.685 0.1 0.2 -0.1
H 7.586 3.890 1.426 0.2 0.0 0.1
H 9.431 1.261 1.093 0.1 0.2 0.0
H 9.264 2.525 -0.167 0.1 0.0 0.2
H 8.821 0.843 -0.520 0.0 0.1 0.1
C 0.912 -1.609 -8.231 0.1 0.1 0.4
C -0.329 -0.768 -8.098 -0.2 0.3 0.4
O -0.627 -0.243 -7.041 0.1 -0.3 -0.4
C -1.188 -0.601 -9.323 -0.3 0.2 0.2
H 1.433 -1.641 -7.272 -0.1 0.0 -0.1
H 0.642 -2.627 -8.518 0.1 0.1 -0.2
H 1.580 -1.171 -8.977 -0.1 -0.2 -0.1
H -1.551 -1.575 -9.658 0.2 0.0 -0.2
H -0.613 -0.119 -10.117 0.0 -0.2 -0.1
H -2.046 0.028 -9.081 0.1 -0.1 0.0
C 4.168 5.287 -2.506 0.0 0.3 -0.2
C 5.310 4.434 -2.992 0.5 0.2 -0.5
O 6.082 4.836 -3.839 -0.3 -0.1 0.4
C 5.457 3.063 -2.386 0.3 0.0 -0.2
H 4.185 6.245 -3.028 0.0 -0.1 0.1
H 3.218 4.790 -2.716 0.0 0.0 0.2
H 4.270 5.470 -1.434 -0.2 -0.1 0.0
H 4.565 2.468 -2.590 0.0 0.0 0.2
H 5.617 3.147 -1.309 -0.2 -0.1 0.0
H 6.320 2.562 -2.829 -0.1 0.1 0.1
C -6.102 -2.558 3.488 0.2 0.1 0.3
C -7.357 -1.739 3.626 -0.3 0.3 0.5
O -7.663 -1.227 4.687 0.3 -0.1 -0.4
C -8.218 -1.578 2.402 -0.3 0.2 0.2
H -5.582 -2.588 4.449 -0.1 -0.1 -0.1
H -6.353 -3.580 3.194 0.1 0.0 -0.2
H -5.441 -2.102 2.746 -0.1 -0.2 -0.2
H -8.565 -2.555 2.060 0.2 0.0 -0.2
H -7.652 -1.080 1.612 0.0 -0.2 -0.1
H -9.087 -0.965 2.649 0.1 -0.1 0.0
C -5.089 -8.413 2.387 -0.4 -0.1 0.0
C -5.290 -6.992 2.842 -0.7 0.1 0.1
O -6.396 -6.561 3.106 0.5 -0.1 -0.1
C -4.066 -6.122 2.959 -0.1 0.3 0.1
H -6.055 -8.920 2.349 0.1 0.1 0.0
H -4.648 -8.424 1.388 0.2 -0.1 0.1
H -4.444 -8.941 3.091 0.1 0.0 -0.2
H -3.580 -6.031 1.986 0.2 -0.1 0.1
H -3.375 -6.547 3.689 0.1 0.0 -0.2
H -4.364 -5.127 3.297 0.0 -0.1 0.0

~~~~~

Version w
Formula: C3H6N4O
Source: the OMol25 dataset
Level of theory: the ωB97M-V functional and the def2-TZVPD basis

Computed properties:
HOMO level ... -8.7 eV
Kohn-Sham gap ... 0.3094 hartree

ORCA input file:
```
! RIJCOSX wB97M-V def2-TZVPD def2/J DEFGRID3
* xyz 0 1
C 0.41541 -1.33745 0.73877
C 0.71815 0.15635 0.50140
C 0.02889 0.87622 -0.52008
H -0.80025 -1.38333 0.71924
H 0.65687 -1.67910 -0.15430
H 0.86997 -1.70887 1.70054
H 0.43374 2.78245 1.61589
H -0.73912 -2.00254 -1.29523
H -2.39488 -0.74356 -2.24993
N 1.29916 0.95223 1.32262
N 1.32390 2.24395 0.88686
N -0.68120 0.47201 -1.58245
N -1.62633 -0.77180 -1.31781
O 0.49568 2.14343 -0.36553
*
```

Version x
Formula: C3H6N4O
Source: the OMol25 dataset
Level of theory: the ωB97M-V functional and the def2-TZVPD basis

**Done:**
87
Properties=species:S:1:pos:R:3:forces:R:3 method="wB97M-V/def2-TZVPD" total_energy_ha=-1794.48479 total_charge=+1 multiplicity=1 mol_weight_g_mol=533.70 largest_force_ev_per_a=4.73
C 0.533 2.129 4.999 -0.7 -0.4 0.5
C -0.258 2.220 3.572 -0.1 0.7 1.7
C -1.806 2.066 3.945 1.2 -1.7 -1.2
N -2.547 3.196 4.239 1.9 -1.0 -0.7
N -3.811 3.338 4.609 -0.5 -4.7 -0.1
C -4.404 2.089 4.686 -0.8 -0.3 0.1
C -3.858 0.711 4.382 3.4 1.9 -0.7
C -2.395 0.671 3.958 -3.6 2.2 1.5
F -1.698 -0.486 3.669 -1.5 3.2 0.7
H -0.217 1.770 5.796 1.3 0.5 -1.0
H 0.904 3.145 5.342 -0.4 -1.3 -0.6
H 1.386 1.381 4.970 -1.1 1.1 -0.2
H -0.015 3.268 3.169 -0.7 -1.7 0.1
H 0.135 1.391 2.907 -0.8 1.2 0.6
H -2.040 4.101 4.164 -0.4 -0.9 0.0
H -5.495 2.120 5.040 1.9 0.0 -0.7
H -4.513 -0.206 4.487 0.9 1.3 -0.1
C 3.881 -0.354 1.327 0.0 0.1 0.4
C 2.642 0.486 1.462 0.0 0.1 0.2
O 2.343 1.012 2.524 0.0 -0.1 -0.2
C 1.783 0.653 0.238 -0.1 0.2 0.5
H 4.402 -0.386 2.287 -0.1 0.0 -0.1
H 3.611 -1.372 1.041 0.0 0.1 -0.2
H 4.547 0.085 0.582 -0.1 -0.2 -0.1
H 1.420 -0.320 -0.098 0.1 0.1 -0.2
H 2.357 1.136 -0.555 -0.1 -0.2 -0.1
H 0.924 1.282 0.480 0.1 -0.1 -0.1
C 0.167 1.311 -4.377 0.3 0.2 0.3
C -0.274 0.356 -3.302 0.2 0.1 0.4
O 0.145 0.448 -2.161 -0.2 0.0 -0.4
C -1.254 -0.718 -3.691 0.0 -0.2 0.4
H 0.872 2.030 -3.955 -0.1 -0.1 0.0
H 0.664 0.762 -5.179 -0.3 0.1 -0.1
H -0.695 1.853 -4.769 0.1 -0.2 -0.2
H -0.819 -1.355 -4.464 -0.2 0.2 -0.2
H -2.178 -0.264 -4.053 0.1 -0.1 -0.2
H -1.483 -1.333 -2.818 0.0 0.1 -0.1
C 7.223 2.922 1.777 -0.4 0.0 0.0
C 7.421 1.882 0.707 -0.3 -0.3 -0.2
O 6.477 1.280 0.228 0.4 0.3 0.2
C 8.830 1.615 0.252 -0.1 -0.3 -0.3
H 6.159 3.009 2.005 0.1 0.0 0.0
H 7.753 2.627 2.685 0.1 0.2 -0.1
H 7.586 3.890 1.426 0.2 0.0 0.1
H 9.431 1.261 1.093 0.1 0.2 0.0
H 9.264 2.525 -0.167 0.1 0.0 0.2
H 8.821 0.843 -0.520 0.0 0.1 0.1
C 0.912 -1.609 -8.231 0.1 0.1 0.4
C -0.329 -0.768 -8.098 -0.2 0.3 0.4
O -0.627 -0.243 -7.041 0.1 -0.3 -0.4
C -1.188 -0.601 -9.323 -0.3 0.2 0.2
H 1.433 -1.641 -7.272 -0.1 0.0 -0.1
H 0.642 -2.627 -8.518 0.1 0.1 -0.2
H 1.580 -1.171 -8.977 -0.1 -0.2 -0.1
H -1.551 -1.575 -9.658 0.2 0.0 -0.2
H -0.613 -0.119 -10.117 0.0 -0.2 -0.1
H -2.046 0.028 -9.081 0.1 -0.1 0.0
C 4.168 5.287 -2.506 0.0 0.3 -0.2
C 5.310 4.434 -2.992 0.5 0.2 -0.5
O 6.082 4.836 -3.839 -0.3 -0.1 0.4
C 5.457 3.063 -2.386 0.3 0.0 -0.2
H 4.185 6.245 -3.028 0.0 -0.1 0.1
H 3.218 4.790 -2.716 0.0 0.0 0.2
H 4.270 5.470 -1.434 -0.2 -0.1 0.0
H 4.565 2.468 -2.590 0.0 0.0 0.2
H 5.617 3.147 -1.309 -0.2 -0.1 0.0
H 6.320 2.562 -2.829 -0.1 0.1 0.1
C -6.102 -2.558 3.488 0.2 0.1 0.3
C -7.357 -1.739 3.626 -0.3 0.3 0.5
O -7.663 -1.227 4.687 0.3 -0.1 -0.4
C -8.218 -1.578 2.402 -0.3 0.2 0.2
H -5.582 -2.588 4.449 -0.1 -0.1 -0.1
H -6.353 -3.580 3.194 0.1 0.0 -0.2
H -5.441 -2.102 2.746 -0.1 -0.2 -0.2
H -8.565 -2.555 2.060 0.2 0.0 -0.2
H -7.652 -1.080 1.612 0.0 -0.2 -0.1
H -9.087 -0.965 2.649 0.1 -0.1 0.0
C -5.089 -8.413 2.387 -0.4 -0.1 0.0
C -5.290 -6.992 2.842 -0.7 0.1 0.1
O -6.396 -6.561 3.106 0.5 -0.1 -0.1
C -4.066 -6.122 2.959 -0.1 0.3 0.1
H -6.055 -8.920 2.349 0.1 0.1 0.0
H -4.648 -8.424 1.388 0.2 -0.1 0.1
H -4.444 -8.941 3.091 0.1 0.0 -0.2
H -3.580 -6.031 1.986 0.2 -0.1 0.1
H -3.375 -6.547 3.689 0.1 0.0 -0.2
H -4.364 -5.127 3.297 0.0 -0.1 0.0

~~~~~

Version w
Formula: C3H6N4O
Source: the OMol25 dataset
Level of theory: the ωB97M-V functional and the def2-TZVPD basis

Computed properties:
HOMO level ... -8.7 eV
Kohn-Sham gap ... 0.3094 hartree

ORCA input file:
```
! RIJCOSX wB97M-V def2-TZVPD def2/J DEFGRID3
* xyz 0 1
C 0.41541 -1.33745 0.73877
C 0.71815 0.15635 0.50140
C 0.02889 0.87622 -0.52008
H -0.80025 -1.38333 0.71924
H 0.65687 -1.67910 -0.15430
H 0.86997 -1.70887 1.70054
H 0.43374 2.78245 1.61589
H -0.73912 -2.00254 -1.29523
H -2.39488 -0.74356 -2.24993
N 1.29916 0.95223 1.32262
N 1.32390 2.24395 0.88686
N -0.68120 0.47201 -1.58245
N -1.62633 -0.77180 -1.31781
O 0.49568 2.14343 -0.36553
*
```

Version x
Formula: C3H6N4O
Source: the OMol25 dataset
Level of theory: the ωB97M-V functional and the def2-TZVPD basis